[What to do]
The reader should quote the listing further below from the first line to the one with "6.750 4.812" unchanged.

[Input]
4
Lattice="3.339 0.000 0.000 1.670 2.892 0.000 1.670 0.964 8.400" Properties=species:S:1:pos:R:3 comment="Eu2IrO, optimized geometry, DFT PBE" e_form_raw_ev_per_atom=-0.842 space_group="R-3m, No. 166" energy_ev_per_atom=-9.4339 magnetic_moment_mub_per_cell=14.086 pbc="T T T"
Eu 1.670 0.964 5.719
Eu 5.009 2.892 2.681
Ir 0.000 0.000 0.000
O 3.339 1.928 4.200


10
Lattice="7.708 0.000 0.000 0.000 7.708 0.000 0.000 0.000 2.919" Properties=species:S:1:pos:R:3 comment="YMg2Ni2, optimized geometry, DFT PBE" space_group="P4/mbm, No. 127" energy_ev_per_atom=-4.3188 magnetic_moment_mub_per_cell=0.000 formation_energy_ev_per_atom=-0.08 pbc="T T T"
Y 0.000 0.000 0.000
Y 3.854 3.854 0.000
Ni 1.344 5.198 1.460
Ni 5.198 6.364 1.460
Ni 6.364 2.510 1.460
Ni 2.510 1.344 1.460
Mg 2.896 6.750 0.000
Mg 6.750 4.812 0.000
Mg 4.812 0.958 0.000
Mg 0.958 2.896 0.000


17
Lattice="7.772 0.000 0.000 -2.591 7.328 0.000 -2.591 -3.664 6.346" Properties=species:S:1:pos:R:3 comment="SrZn4Au12, optimized geometry, DFT PBE" space_group="Im-3, No. 204" energy_ev_per_atom=-2.7311 magnetic_moment_mub_per_cell=0.000 formation_energy_ev_per_atom=-0.02 pbc="T T T"
Sr 0.000 0.000 0.000
Zn -1.295 3.664 0.000
Zn 3.886 0.000 0.000
Zn 1.295 1.832 3.173
Zn -1.295 -1.832 3.173
Au 5.173 1.838 1.209
Au 0.987 3.106 0.987
Au 4.195 -1.256 4.150
Au 0.009 -1.698 5.358
Au -1.604 4.920 2.196
Au 1.604 0.558 5.358
Au 2.599 -0.128 2.196
Au -0.009 3.791 4.150
Au 2.582 5.362 0.987
Au 3.577 2.966 3.163
Au -0.987 0.698 3.183
Au -2.582 1.826 5.137

[Done]
4
Lattice="3.339 0.000 0.000 1.670 2.892 0.000 1.670 0.964 8.400" Properties=species:S:1:pos:R:3 comment="Eu2IrO, optimized geometry, DFT PBE" e_form_raw_ev_per_atom=-0.842 space_group="R-3m, No. 166" energy_ev_per_atom=-9.4339 magnetic_moment_mub_per_cell=14.086 pbc="T T T"
Eu 1.670 0.964 5.719
Eu 5.009 2.892 2.681
Ir 0.000 0.000 0.000
O 3.339 1.928 4.200


10
Lattice="7.708 0.000 0.000 0.000 7.708 0.000 0.000 0.000 2.919" Properties=species:S:1:pos:R:3 comment="YMg2Ni2, optimized geometry, DFT PBE" space_group="P4/mbm, No. 127" energy_ev_per_atom=-4.3188 magnetic_moment_mub_per_cell=0.000 formation_energy_ev_per_atom=-0.08 pbc="T T T"
Y 0.000 0.000 0.000
Y 3.854 3.854 0.000
Ni 1.344 5.198 1.460
Ni 5.198 6.364 1.460
Ni 6.364 2.510 1.460
Ni 2.510 1.344 1.460
Mg 2.896 6.750 0.000
Mg 6.750 4.812 0.000